Canadian Walk of Fame Mishap

In 2010, Doug was finally inducted into the prestigious Canadian Walk of Fame. However, for some reason or other everyone involved in the planning and preparations neglected to invite or even ask his family to participate. Anyway, I digress! Here is the original article from the Canadian newspaper “The Star.” You can make up your…

Birks Ring Advertisement

In his career, Doug wasn’t averse to doing a little advertising on the side. In addition to hawking Minolta Cameras, TWA, and Plymouth Voyagers, Doug even had time to perform a little sleight of hand with these beauties from Birks rings.  I hope for their sake he untangled them afterwards! Special Thanks to Michael Whitecar

Los Angeles Times Interview-1988

The following interview appeared in the May 7th, 1988 edition of the Los Angeles Times.  Magician Reappears TODD KARR Magic man Doug Henning disappeared a year ago. Not unusual, but the long-haired Henning, who turned 41 on Tuesday, pulled his vanishing act from a lucrative magical career and wound up in a full-time position in…

Osmond Family Christmas Special Appearance

Hey it’s Monday here at “The Doug Henning Project!” To wipe that weekend haze from your eyes, let’s spread some post-Christmas cheer with Doug’s appearance on the 1980’s”Osmond Family Christmas Special.” While Doug’s main close-up magic segment begins at the 16 minute mark, he also appears at the show’s beginning and end to spread some…

Potter & Potter Auction Items

Rebekah Kaufman of Potter & Potter Auctions alerted me to some great items in their upcoming February 23rd auction.  Have you every wanted to buy Doug’s snake skin boots and wizard robe in one go? Well now’s your chance! Break out those Venmo accounts folks because now’s your chance! For more information please visit at:

Rubik’s Cube Illusion and More

The above comes from Doug’s “Magic on Broadway” special, and highlights one of the things he always did best, close-up magic with kids! For me, these are always some of the highlight of his specials, and I hope they’re yours too.  Now where did I put my old Rubik’s Cube?

Johnny Ould Remembers Doug

My Doug Henning Recollections by Johnny Ould During the mid to late 1950’s, there were two main places in Toronto, Ontario where local and visiting magicians would gather. (They were) The Arcade Magic & Novelty Store in the Yonge St. Arcade, and The Magic Counter in Eaton’s Toy Land that was run by Johnny Giordmaine. The…

Doug Henning Toronto Plaque

Sorry for the delay in posting this week folks. Things that are decidedly un-magical, like real life, can take priority sometimes.  Speaking of real life, this fascinating tidbit comes from the blog “Toronto Savvy.” It profiles a time when Doug wasn’t quite yet Doug. He was at a crossroads at whether to continue with schooling…

• Crystal structures, as found in the file:
- - -
Structure and computed X-ray powder pattern of La2NiSn4Rh3 (a DFT-relaxed cell (GGA-PBE, Alexandria); Cu Kα).
No peak broadening, texture or thermal motion is included.

Top 10 peaks for 10 to 80 degrees two-theta, by angle:
two_theta	Rel. int.
27.32	9.3
32.37	100.0
39.02	47.9
44.61	17.9
48.06	13.4
51.55	23.4
56.36	16.4
60.58	9.7
63.56	11.6
66.52	19.6

Structural model:
```
data_La2NiSn4Rh3
_cell_length_a 4.6172
_cell_length_b 4.6172
_cell_length_c 10.3782
_cell_angle_alpha 90.00
_cell_angle_beta 90.00
_cell_angle_gamma 90.00
_symmetry_space_group_name_H-M 'P -4 m 2'
_symmetry_Int_Tables_number 115
loop_
_symmetry_equiv_pos_as_xyz
'x,y,z'
'y,-x,-z'
'-x,-y,z'
'-y,x,-z'
'-x,y,z'
'-y,-x,-z'
'x,-y,z'
'y,x,-z'
loop_
_atom_site_label
_atom_site_fract_x
_atom_site_fract_y
_atom_site_fract_z
La1 0.0000 0.5000 0.2430
Ni1 0.5000 0.5000 0.0000
Sn1 0.0000 0.0000 0.5000
Sn2 0.0000 0.5000 0.8809
Sn3 0.5000 0.5000 0.5000
Rh1 0.0000 0.0000 0.0000
Rh2 0.0000 0.5000 0.6302
```


Structure and computed X-ray powder pattern of LaTbNiRh (a DFT-relaxed cell (GGA-PBE, Alexandria); Cu Kα).
No peak broadening, texture or thermal motion is included.

Top 10 peaks for 10 to 80 degrees two-theta, by angle:
two_theta	Rel. int.
26.95	16.2
32.41	100.0
33.02	31.3
33.72	30.1
39.62	18.1
40.22	56.7
43.36	24.4
46.33	20.1
56.03	14.1
65.32	14.1

Structural model:
```
data_LaTbNiRh
_cell_length_a 4.1732
_cell_length_b 3.9193
_cell_length_c 10.8522
_cell_angle_alpha 90.00
_cell_angle_beta 90.00
_cell_angle_gamma 90.00
_symmetry_space_group_name_H-M 'A m m 2'
_symmetry_Int_Tables_number 38
loop_
_symmetry_equiv_pos_as_xyz
'x,y,z'
'-x,-y,z'
'-x,y,z'
'x,-y,z'
'x,y+1/2,z+1/2'
'-x,-y+1/2,z+1/2'
'-x,y+1/2,z+1/2'
'x,-y+1/2,z+1/2'
loop_
_atom_site_label
_atom_site_fract_x
_atom_site_fract_y
_atom_site_fract_z
La1 0.0000 0.0000 0.0000
Tb1 0.5000 0.0000 0.7219
Ni1 0.5000 0.0000 0.4357
Rh1 0.0000 0.0000 0.2725
```

~~~~~

MgCo2GeO6: calculated powder XRD pattern (CuKα), based on a DFT-relaxed cell (PBE+U, Alexandria).
Kinematic intensities with the Lorentz-polarization factor, no thermal factor.

Structural model:
Cell: 5.283 5.283 5.283 Å, 55.58 55.58 55.58°
Positions (direct):
Mg 0.000 0.000 0.000
Co 0.296 0.296 0.296
Co 0.797 0.797 0.797
Ge 0.494 0.494 0.494
O 0.093 0.679 0.415
O 0.202 0.579 0.889
O 0.415 0.093 0.679
O 0.579 0.889 0.202
O 0.679 0.415 0.093
O 0.889 0.202 0.579

Top 12 peaks for 5 to 70 degrees two-theta, low angle first:
- 19.94 deg, intensity 14
- 21.87 deg, intensity 31
- 24.77 deg, intensity 62
- 34.10 deg, intensity 100
- 36.48 deg, intensity 92
- 40.53 deg, intensity 6
- 41.92 deg, intensity 33
- 50.79 deg, intensity 42
- 55.66 deg, intensity 81
- 58.93 deg, intensity 6
- 64.14 deg, intensity 36
- 65.66 deg, intensity 42

~~~~~

Record 1
# Mg5MnN4
Theoretical powder diffraction line list, Cu Kα (λ = 1.5418 Å). Input: a DFT-relaxed cell (GGA-PBE, the Materials Project).
Neutral-atom scattering factors, no anomalous dispersion.
- - -

Chita Rivera on Merlin Mishaps

As I sit looking out my window on a rainy day in LA, what better time to have a laugh than Chita Rivera recounting a very unintentional and comic moment from”Merlin?” You don’t really hear Chita Rivera talking about “Merlin” much these days. So ,it’s nice to hear this anecdote and see some rare pictures…

Grand Illusions: Doug Segment

The above clip comes courtesy of Scott Wells of “The Magic Word Podcast.” It’s a brisk eight-minute biography of Doug from the 1998 multi-part documentary “Grand Illusions: The Story of Magic.” The segment itself is a an enjoyable jaunt through Doug life and career with commentary from such magic notables as Charles Reynolds, Jim Steinmeyer,…

Captain Kangaroo Appearance in Full

Way back when I began this website in 2017 (yes ages ago I know), I posted two rather grainy copies of Doug’s 1975 appearance on Bob Keeshan’s “Captain Kangaroo.” The clips were recorded off of someone’s TV and, to be truthful, were hard to really follow.  So, lo and behold, I recently came across this…

“The Magic of the Natural Law Party” Campaign Video-1993

If you have an hour and twelve minutes to kill, and want to hear more about Doug’s campaign for the Natural Law Party then you’re at the right place.  This extremely tranquil video from 1993 stands out for many reasons. Other than going into TM principles in more detail, it also curiously serves as a…

Doug Henning Lazer Carved Wood Art

Happy New Year everyone and welcome to 2019!  Without further ado, let’s get right down to it! In looking for a unique way to start a new year of posts, I came across a You Tube clip that may fill that bill perfectly. Published in 2012, this permanent tribute to the man and his work…